Input:
=====
DFT (ωB97M-V with the def2-TZVPD basis set) results for one molecule with the formula C19H23FN4O2S.

```
! RIJCOSX wB97M-V def2-TZVPD def2/J DEFGRID3
* xyz 0 1
C 4.1123 5.3549 -2.0829
C 4.4167 3.9845 -1.4938
C 3.8962 3.8655 -0.0555
C 4.1715 2.5004 0.4856
C 5.1944 2.2184 1.3362
C 5.4301 0.8775 1.8015
O 6.3010 0.4850 2.5446
N 4.4889 -0.0426 1.2902
C 3.5040 0.3300 0.4495
S 2.4248 -0.9441 -0.0946
C 1.1626 0.0425 -0.9614
C 0.0192 0.4515 -0.0424
O -0.1729 1.6247 0.2074
N -0.7375 -0.5344 0.4838
C -0.7049 -1.9399 0.1637
C -1.9951 -2.3451 -0.5658
N -3.1249 -2.0123 0.2702
C -4.3163 -2.7213 0.1538
C -5.2757 -2.6226 1.1682
C -6.4476 -3.3477 1.1174
C -6.6684 -4.1958 0.0471
F -7.8141 -4.9126 -0.0052
C -5.7407 -4.3251 -0.9670
C -4.5736 -3.5860 -0.9134
C -3.1628 -0.5949 0.5726
C -1.8823 -0.1933 1.3041
N 3.3270 1.5320 0.0306
H 4.5817 6.1381 -1.4917
H 3.0396 5.5332 -2.0985
H 4.4878 5.4223 -3.1012
H 3.9489 3.2088 -2.1026
H 5.4954 3.8115 -1.4998
H 2.8167 4.0257 -0.0560
H 4.3727 4.6185 0.5727
H 5.8608 2.9858 1.6937
H 4.5857 -1.0081 1.5835
H 1.6703 0.9504 -1.2888
H 0.8214 -0.5434 -1.8134
H -0.6423 -2.5023 1.1021
H 0.1617 -2.1916 -0.4436
H -2.0383 -1.8292 -1.5399
H -1.9714 -3.4224 -0.7315
H -5.0943 -1.9843 2.0187
H -7.1839 -3.2706 1.9017
H -5.9376 -4.9893 -1.7937
H -3.8702 -3.6794 -1.7252
H -3.2343 -0.0078 -0.3582
H -4.0300 -0.3642 1.1875
H -1.8105 -0.7326 2.2538
H -1.8617 0.8817 1.4862
*
```

The total energy is -1605.41250 Ha. Its SMILES is CCCc1cc(=O)[nH]c(SCC(=O)N2CCN(c3ccc(F)cc3)CC2)n1. The HOMO energy comes out at -8.13 eV. The HOMO-LUMO gap comes out at 8.4512 eV. As for the lowest unoccupied orbital energy: 0.318 eV. As for the largest force on an atom: 0.62 eV/A.

Here are the Löwdin charges for atoms 1 to 5, given in e:
1 C -0.11
2 C -0.25
3 C -0.15
4 C -0.27
5 C 0.06


DFT (ωB97M-V with the def2-TZVPD basis set) results for C33H42AsN5O3SSe2Ti as an isolated structure in a non-equilibrium geometry.

```
! RIJCOSX wB97M-V def2-TZVPD def2/J DEFGRID3
* xyz 2 1
Ti -0.2399 0.2193 -0.5482
Se 2.1704 1.2560 -0.4124
Se 4.0795 0.1039 0.3613
C 3.7553 0.5484 2.1965
C 4.6715 0.2011 3.1815
C 4.3922 0.5566 4.4886
C 3.2180 1.2419 4.7670
C 2.3773 1.5513 3.7167
N 2.6265 1.2033 2.4498
C 2.5251 0.7931 -2.2655
C 3.7108 1.0650 -2.9261
C 3.8012 0.6895 -4.2605
C 2.7223 0.0527 -4.8566
C 1.5859 -0.1860 -4.0987
N 1.4848 0.1936 -2.8263
H 5.5782 -0.3255 2.9159
H 5.0899 0.3070 5.2765
H 2.9608 1.5225 5.7785
H 1.4532 2.0916 3.8872
H 4.5339 1.5439 -2.4112
H 4.7090 0.8868 -4.8151
H 2.7640 -0.2636 -5.8896
H 0.7259 -0.7080 -4.5054
C -1.7483 3.9871 0.9646
C -1.6025 2.5261 1.3681
C -1.9796 2.3222 2.8325
O -0.2552 2.0297 1.1275
C -2.5226 1.6694 0.4824
O -3.6966 1.8432 0.4080
O -1.8589 0.7075 -0.1729
H -1.1707 4.6310 1.6310
H -2.7957 4.2760 1.0344
H -1.4208 4.1413 -0.0606
H -1.4576 3.0438 3.4625
H -1.7202 1.3133 3.1594
H -3.0507 2.4730 2.9610
H 0.3528 2.7158 1.4236
C -2.7481 -0.5950 -2.6047
C -1.5758 -1.5199 -2.4835
C -1.3560 -2.6909 -3.1369
C -0.0920 -3.2077 -2.6923
C 0.4204 -2.3301 -1.7912
C 1.7595 -2.3878 -1.1225
N -0.4882 -1.2719 -1.6278
H -3.3355 -0.8767 -3.4763
H -2.4397 0.4458 -2.7187
H -3.4045 -0.6512 -1.7353
H -2.0070 -3.1464 -3.8655
H 0.3691 -4.1276 -3.0156
H 2.5334 -1.9304 -1.7427
H 2.0526 -3.4272 -0.9818
H 1.7737 -1.8911 -0.1486
C -0.3599 -3.3358 1.1036
As -0.5265 -1.4326 1.4947
C 0.3320 -1.5051 3.2553
C -2.4743 -1.3992 1.9025
C -2.8778 -2.3730 2.9664
C -3.3674 -3.6334 2.6344
C -3.7472 -4.5256 3.6259
C -3.6399 -4.1673 4.9615
C -3.1558 -2.9121 5.3034
C -2.7766 -2.0218 4.3117
H -0.8823 -3.8762 1.8904
H 0.6819 -3.6487 1.1025
H -0.8069 -3.5776 0.1411
H -0.0911 -2.3558 3.7853
H 0.1609 -0.5997 3.8312
H 1.4034 -1.6537 3.1220
H -2.9503 -1.6262 0.9468
H -2.7560 -0.3866 2.1879
H -3.4781 -3.9055 1.5906
H -4.1380 -5.4969 3.3541
H -3.9388 -4.8606 5.7358
H -3.0853 -2.6247 6.3441
H -2.4237 -1.0319 4.5816
C -0.8414 2.0929 -4.9980
N 0.3182 2.8462 -4.5534
C 1.2249 3.5029 -5.3606
C 2.0924 4.1495 -4.5543
N 1.7055 3.8722 -3.2620
C 0.6171 3.0798 -3.2641
S -0.2590 2.5747 -1.8940
=====
Exercise:
The reader should copy the entries further up from the first line to the one with "-0.0560" verbatim.
Written answer:
DFT (ωB97M-V with the def2-TZVPD basis set) results for one molecule with the formula C19H23FN4O2S.

```
! RIJCOSX wB97M-V def2-TZVPD def2/J DEFGRID3
* xyz 0 1
C 4.1123 5.3549 -2.0829
C 4.4167 3.9845 -1.4938
C 3.8962 3.8655 -0.0555
C 4.1715 2.5004 0.4856
C 5.1944 2.2184 1.3362
C 5.4301 0.8775 1.8015
O 6.3010 0.4850 2.5446
N 4.4889 -0.0426 1.2902
C 3.5040 0.3300 0.4495
S 2.4248 -0.9441 -0.0946
C 1.1626 0.0425 -0.9614
C 0.0192 0.4515 -0.0424
O -0.1729 1.6247 0.2074
N -0.7375 -0.5344 0.4838
C -0.7049 -1.9399 0.1637
C -1.9951 -2.3451 -0.5658
N -3.1249 -2.0123 0.2702
C -4.3163 -2.7213 0.1538
C -5.2757 -2.6226 1.1682
C -6.4476 -3.3477 1.1174
C -6.6684 -4.1958 0.0471
F -7.8141 -4.9126 -0.0052
C -5.7407 -4.3251 -0.9670
C -4.5736 -3.5860 -0.9134
C -3.1628 -0.5949 0.5726
C -1.8823 -0.1933 1.3041
N 3.3270 1.5320 0.0306
H 4.5817 6.1381 -1.4917
H 3.0396 5.5332 -2.0985
H 4.4878 5.4223 -3.1012
H 3.9489 3.2088 -2.1026
H 5.4954 3.8115 -1.4998
H 2.8167 4.0257 -0.0560